Claire Von Angea: Attacked

Events do not always go as one may plan. That is a universal truth bidding everyone in this cruel world's existence. My blood thirsty attacker was no exception. His strides were purposeful in each step as he desired to do nothing, but rid the world of my presence. I could see it in his eyes. The darkness and hatred that he felt towards me in that moment. He had no greater desire than to plunge his blade into me just as he did Sylvia.

"The death of the Angea is here.", he proclaims to me.

These molecular data were left in the page by mistake =
+++
Record 1
{
  "formula": "C3H10O2",
  "method": "the ωB97M-V functional and the def2-TZVPD basis",
  "total_charge": 0,
  "de_lowest_kcal_mol": 17.0,
  "multiplicity": 1,
  "smiles": "C=CC.O.O",
  "homo_ev": -10.378,
  "species": ["C", "C", "C", "H", "H", "H", "H", "H", "H", "H", "H", "O", "H", "H", "O"],
  "coordinates": [[0.157343, -1.731407, -1.299748], [0.908514, -1.000207, -0.232200], [0.365293, -0.588608, 0.905964], [-0.929923, -1.635505, -1.222073], [0.397325, -1.412145, -2.312128], [0.407627, -2.797675, -1.221969], [1.961179, -0.873633, -0.447628], [0.838683, -0.047751, 1.713660], [-0.695358, -0.796464, 1.085717], [0.222988, 2.284444, 2.699953], [0.128704, 2.274013, 1.194426], [0.197235, 2.891551, 1.952953], [-0.574191, 0.897063, -0.922006], [-2.037411, 1.179409, -0.623497], [-1.348011, 1.356916, -1.271418]],
  "forces_ev_per_angstrom": [[-0.38, -0.50, -0.02], [0.00, 0.08, -0.13], [-0.86, -0.01, 0.09], [0.15, -0.01, 0.28], [0.30, 0.11, 0.04], [-0.06, 0.12, -0.17], [0.17, 0.23, 0.20], [0.49, -0.15, -0.17], [0.23, 0.08, -0.11], [0.01, 0.17, 0.16], [0.03, 0.70, 0.42], [-0.07, -0.85, -0.60], [-0.04, -0.02, -0.03], [-0.03, 0.05, -0.04], [0.06, -0.01, 0.09]],
  "lowdin_charge": [-0.118, -0.242, -0.034, 0.074, 0.076, 0.081, 0.099, 0.048, 0.072, 0.025, 0.018, -0.067, -0.014, 0.039, -0.057]
}


Record 2
{
  "formula": "C3H10O2S",
  "method": "the ωB97M-V functional and the def2-TZVPD basis",
  "total_charge": 0,
  "de_lowest_kcal_mol": 13.5,
  "multiplicity": 1,
  "smiles": "OCCCS.O",
  "homo_ev": -8.945,
  "species": ["C", "O", "C", "C", "S", "H", "H", "H", "H", "H", "H", "H", "H", "H", "H", "O"],
  "coordinates": [[-1.366498, 0.282964, 0.225784], [-2.052053, -0.185623, 1.416069], [0.126455, -0.065203, 0.214605], [0.976186, 1.130812, -0.226888], [1.544413, 0.861242, -1.944631], [-1.939299, -0.187155, -0.542423], [-1.541253, 1.360673, 0.221362], [-1.596522, 0.161505, 2.186635], [0.367660, -0.215781, 1.266539], [0.341158, -0.994320, -0.290155], [1.873446, 1.286697, 0.379697], [0.526984, 2.108555, -0.037061], [0.909467, 1.775935, -2.690013], [-1.342808, -2.124036, 1.654911], [-0.086600, -3.054492, 2.208778], [-0.426428, -2.402912, 1.588502]],
  "forces_ev_per_angstrom": [[-0.36, -0.08, 1.17], [0.02, -0.29, -0.22], [-0.32, 1.53, 1.16], [0.46, 0.13, -0.31], [0.36, 0.12, -0.20], [-0.16, -0.12, -0.84], [0.25, 0.07, -0.44], [0.10, 0.08, 0.07], [0.10, -0.26, 0.03], [0.16, 0.01, -0.22], [0.19, -0.77, -0.19], [-0.60, -0.18, -0.60], [-0.20, 0.15, 0.38], [-0.18, -0.28, 0.66], [-0.94, 0.09, 0.11], [1.12, -0.20, -0.55]],
  "lowdin_charge": [-0.221, -0.107, -0.280, -0.553, 0.693, 0.112, 0.111, 0.083, 0.095, 0.087, 0.060, 0.074, -0.168, 0.026, 0.047, -0.059]
}


Record 3
{
  "formula": "C3H10O2S2",
  "method": "the ωB97M-V functional and the def2-TZVPD basis",
  "total_charge": 0,
  "de_lowest_kcal_mol": 26.0,
  "multiplicity": 1,
  "smiles": "OCCCSS.O",
  "homo_ev": -9.260,
+++

While the distance between us became shorter by the step it was not before he pointed the deadly weapon towards my person as well. With a flick of his wrist the man intended to make true on his proclamation. Arcing through the air the tip of the blade raced towards my body hoping to meet the futile resistance of my flesh.

Yet, it found nothing, but air. The groans of struggle ensued as the male seemingly found himself bound by the wrist once more. Blocked by the shadows of turmoil, a voice called to me once,


A thud transpired as the man tossed whatever being that bound him over his shoulder. Though before he could react once again, the individual sprung to their feet and pressed their attack. Each collision of their bodies doused me with sprinkles of a foreign liquid like a canvas bestowed with a vibrant paint. The sounds of their struggle continued, but due to the rise of the smoke, I was no longer much of a witness to the altercation. The grating squelches of flesh being torn and thudding grunts pierced through the heavy smoke.

My heart couldn't take it, beating my chest nearly into submission. Yet, even the crescendo of my heart rate was dwarfed in sound to the incoming footsteps towards my location. I sought to move, but my body still remained motionless, until the universal truth once more reared its head. Without my permission my body was suddenly forced into motion.

Pulled to my feet by the approaching figure, I found myself snatched by my wrist. Their grip held tight, desperately holding on as if they were holding onto life itself. I could feel my body being forced against its will to remain stagnant as I was guided further on the path chosen for me. I did what was forced upon me.

I ran.

With each stride I took, the more uneven the ground felt and the more distant the clash of metal became. Though my eyes had closed themselves and traversing blindly through the darkness was a difficult task. It was a mistake in which regrets are formed.


My ears were soon ringing as an eruption transpired nearby taking my futile attempts of fleeing airborne. I could feel myself swimming through the air before crashing roughly across the roots of the forest floor. My body went slump, once again serving itself on a platter to my attacker and previous pursuer.

Instinctively tears traced down my cheeks, sticking the dirt that had collected itself from my crash. Thus, I opened them desperately attempting to locate the figure within the smoke and debris.

"I-I said the death of the Angea is here! I will not allow you to escape tonight, Claire Von Angea. We will never allow you to escape!"

The words of hatred seemingly pierced my ringing ears as clear as the speaker had intended. It was pointless to attempt to flee. My fate was sealed. Their tenacity overwhelmed my mediocrity.

"Yo-You mu-muust never give up, La-Lady Claire."

What comes next are molecular data, not part of the text >
+++
Molecular formula: CH5OS
Method: DFT, the ωB97M-V functional and the def2-TZVPD basis

Geometry as XYZ:
```
8
CH5OS the ωB97M-V functional and the def2-TZVPD basis
O -1.96364 -0.94966 1.26767
H -2.59950 -0.27151 1.39485
C 0.37020 -0.31168 -1.27417
S 0.98586 0.73275 0.05843
H -0.32629 -1.12243 -1.04189
H -0.16954 0.31773 -2.00971
H 1.17117 -0.76204 -1.87648
H -1.36083 -0.59030 0.57142
```

As for the orbital gap: 6.47 eV. The calculated total energy is -14001.4368 eV. Its energy above the lowest of the compared OMol25 structures with the same formula, charge and spin is 8.5 kcal/mol. The LUMO energy is 4.2648 eV. As for the net charge: -1.

Molecular formula: C6H8F18HfO22S6
Method: DFT, the ωB97M-V functional and the def2-TZVPD basis

Geometry as XYZ:
```
61
C6H8F18HfO22S6 the ωB97M-V functional and the def2-TZVPD basis
Hf 0.08972 0.14009 0.16054
C -4.91978 0.65210 -0.50597
F -4.65329 0.17373 -1.76282
F -5.96519 1.44465 -0.67650
F -5.25276 -0.41065 0.22335
S -3.41615 1.60281 0.11061
O -2.21160 0.76747 0.00626
O -3.40477 2.81859 -0.65362
O -3.76223 1.71664 1.54255
C 1.59349 -4.33009 -0.63922
F 0.41982 -4.19539 -1.28150
F 1.38474 -4.60466 0.62791
F 2.29427 -5.29747 -1.22430
S 2.50339 -2.62788 -0.79411
O 2.66765 -2.49050 -2.21755
O 1.53961 -1.59400 -0.28313
O 3.71151 -2.71392 -0.01217
C -1.75827 -2.30208 -3.86059
F -1.08331 -3.38165 -3.51377
F -2.02901 -2.33552 -5.14700
F -2.87424 -2.28681 -3.08497
S -0.50911 -0.86432 -3.47463
O 0.78712 -1.16140 -4.04348
O -1.05536 0.35745 -4.05810
O -0.38417 -0.86677 -1.98776
C -0.16904 -2.37434 4.69889
F -0.18364 -3.46194 5.47330
F -1.42700 -1.86807 4.72727
F 0.69783 -1.48273 5.17648
S 0.41153 -2.90873 2.95575
O -0.55789 -3.91135 2.52917
O 0.36861 -1.68522 2.17963
O 1.71310 -3.46638 3.21924
C 3.06730 2.83649 -2.04427
F 1.86202 3.03201 -2.59955
F 3.99909 3.29539 -2.90606
F 3.10043 3.47578 -0.90650
S 3.20816 0.98446 -1.81795
O 3.08654 0.41369 -3.13414
O 4.50488 0.72861 -1.22823
O 2.05490 0.73482 -0.92015
C 1.51757 4.58660 1.61780
F 1.41803 5.51845 2.55587
F 1.88239 5.18937 0.47588
F 2.48046 3.74399 1.97851
S -0.12071 3.72032 1.24006
O -0.70009 3.40818 2.54016
O -0.89464 4.50134 0.33494
O 0.21869 2.40624 0.60216
O -0.46609 1.67937 -1.67017
H -0.30297 2.60257 -1.88022
H -0.86316 1.30438 -2.47563
O -1.46962 -1.57315 0.39464
H -2.30185 -1.42323 0.85339
H -1.42914 -2.52678 0.24971
O -1.09582 0.56235 2.26228
H -2.04529 0.77208 2.28350
H -0.76087 0.84849 3.11564
O 1.58445 0.56897 1.95193
H 1.35718 0.89526 2.82594
H 2.54259 0.66222 1.89071
```

As for the orbital gap: 8.79 eV. The calculated total energy is -166638.7645 eV. Its energy above the lowest of the compared OMol25 structures with the same formula, charge and spin is 13.7 kcal/mol. The LUMO energy is 3.8644 eV. As for the net charge: -2.

Molecular formula: C26H23BF3NO2S
Method: DFT, the ωB97M-V functional and the def2-TZVPD basis

Geometry as XYZ:
```
57
C26H23BF3NO2S the ωB97M-V functional and the def2-TZVPD basis
C 0.71370 -0.87803 -2.42385
+++

Words as pure as those forced aside the shackles on my body. My eyes traced across the vacant ground to see one figure. A being that stood by my side even in the face of death. Yet, they could barely stand on their feet, the furry tail of the individual was as stained with blood as the rest of her clothes.


My words finally escaped my throat and made themselves known to the outside world. My tears poured from their source, drowning the dirt on my checks in their pathway. Standing before me, valiantly defending me once more was my attendant Sylvia. The one that saved me, bled for me and even when I didn't, believed in me.

"Un-til your time..", the woman coughed profusely, struggling to formulate even the basic of sentences, "A-stana needs you. Yo-Your strength. F-Find…"

"God of nature, I beseech thee to conjure a flame to incinerate my target; Fireball!"

The eruption of the cruel flames blasted the front of my attendant, causing her to scream in intense pain as the fireball burned into her flesh. Yet, Sylvia remained defiant. All she had to do was dodge it, I was its target. The fool.

"Save yourself, Sylvia! Please save yourself!", I begged her.

Instead of adhering to my begs and pleads, Sylvia rushed in against the odds upon hearing our attacker begin his incantaction once again. She was not going to listen to me. Fight or die, kill or be killed.

'You can do it! Strength is there for those that want it! Reach for it and achieve your desire, Lady Claire!'

Strength. I need greater strength, not for myself, but for Sylvia as well. I dug my fingers into the dirt below and fought against the pain to pull myself to my feet. This task alone seemed insurmountable, but paled in comparison to what my beloved attendant was doing for me. She believed in me. She desires great things for me, and she is willing to fight for my life at the expense of her own.

____________
No. 1
Below is the molecule C4H13N3O2, with properties calculated with ωB97M-V with the def2-TZVPD basis set.

ORCA input file:
```
! wB97M-V def2-TZVPD RIJCOSX def2/J DEFGRID3
* xyz 0 1
C 1.695 0.456 -1.662
C 1.210 0.788 -0.214
O 2.270 0.630 0.654
N 0.155 -0.153 0.022
N -0.177 -0.270 1.569
N 0.887 -0.767 2.237
C -1.122 0.130 -0.573
C -2.024 -1.071 -0.624
O -1.828 1.255 0.007
H 1.531 -0.580 -1.864
H 2.755 0.788 -1.648
H 0.932 1.108 -2.297
H 1.000 1.911 -0.151
H 2.283 -0.390 0.652
H -0.443 0.658 1.775
H 0.301 -1.666 2.603
H 1.098 -0.179 3.025
H -0.914 0.540 -1.605
H -1.572 -1.790 0.041
H -2.218 -1.522 -1.655
H -3.043 -0.823 -0.185
H -2.777 0.947 -0.105
*
```

Computed properties:
Calculated total energy, Ha: -474.8047
Energy above the lowest of the compared OMol25 structures with the same formula, charge and spin, kJ/mol: 452.19
Largest force on an atom, eV Å⁻¹: 5.7
Kohn-Sham gap, eV: 9.47

=====

No. 2
Below is a cluster of 2 separate species, C4H13N4O in total, with properties calculated with ωB97M-V with the def2-TZVPD basis set.

ORCA input file:
```
! wB97M-V def2-TZVPD RIJCOSX def2/J DEFGRID3
* xyz 1 1
C -1.758 -1.062 -2.062
C -0.781 1.054 -1.272
N -0.979 -0.288 -1.119
N -1.381 1.693 -2.269
N 0.079 1.716 -0.486
H -0.239 -0.855 -0.752
H -1.353 -2.079 -2.289
H -1.886 -0.503 -3.057
H -1.543 1.293 -3.174
H -1.582 2.678 -2.161
H 0.625 1.141 0.203
H -0.064 2.665 -0.196
H -2.792 -1.245 -1.703
C 1.802 0.326 2.828
C 1.442 -0.681 1.734
O 1.403 -0.391 0.526
N 1.175 -1.993 1.976
H 2.314 1.088 2.242
H 2.219 -0.215 3.664
H 1.130 -2.584 1.164
H 1.240 -2.502 2.843
H 0.931 0.747 3.361
*
```

Computed properties:
Calculated total energy, Ha: -454.2828
Energy above the lowest of the compared OMol25 structures with the same formula, charge and spin, kJ/mol: 118.14
Largest force on an atom, eV Å⁻¹: 2.7
Kohn-Sham gap, eV: 11.41
____________
• Here the entry continues:

"On your feet, Claire.", I urged myself.

The soles of my shoes dug into the dirt as I found willed myself onto my feet. Still my knees locked as if they were out of operation, preventing me from taking off. Sylvia. I did not want to leave her. To abandon my friend in her time of need.

"Ru-Run!", she cried to me.

Her struggle continued as the attacker soon overpowered the weakened demi-human women and forced her against a tree. His hand raised as he repeatedly struck her against the tree with his fist. Each blow further gouges the energy from her body. Even still, Sylvia struggled, biting, clawing and kicking to break his hold until she did.

A guttural, primal scream erupted from the woman as she tore into his eyes with her growing claws from her hands. Her once beautiful and majestic figure now mangled, turning her into a creature that I had never seen before.

"You damn- freak! Gla-AHAGla!", the attacker growled as his eye was slashed, and mauled.

Despite his aggressive words, Sylvia managed to disarm him from the dagger that he once possessed and attempted to wield. She tore into his body more akin to a wild beast, ferociously scratching into him, shedding more of his blood as she lost her own. It was not enough to hold back her assault. Now it was her that pinned him to a tree, scratching at his body akin to a corner animal. That was until she stopped.

"Gah-Damn freak- I always got a back up!", the attacker growled through his pain.

The male kicked back Sylvia's frame as the woman staggered back on her feet. Her breathing became more raspy. The male quickly approached, and soon that distinctively crunch of flesh returned as the man repeatedly penetrated my defender with another dagger.

The thud of her body hitting the ground was sickly, but my body knew new waves of terror from what I've seen next. The now grotesque man still pressed forward to continue to initial objective. His face was carved with many of Sylvia's claw marks, leaving his eye seemingly drooping from its socket.

His own breathing was now thick as the smoke produced from his magical attacks, but his hatred was thicker than that. He limped over towards me, dagger in hand and I stood there motionless.

"Now- Your tu-urn."

As he crossed over the body of his fallen foe, something neither of us seemed to expect occurred. His boot was grabbed, and held by Sylvia once more. The sheer terror forced out of the male's mouth was spine chilling. The unbridled tenacity of Sylvia was on full display as she clawed desperately to hold him back. Bloody and battered the intensity of my attendant was unnatural.

"Why won't you die?!", the attacker barked.

The sounds of flesh and metal being grated bounced around the forest, clogging my ears just as the smoke clogged my nose. The feral sounds of anguish erupted, coating the area with its embrace. It was the sound that yanked me into action. I knew that I had to leave. For the first time, I had to run away. My cowardice abandoned Sylvia.

'Sylvia- Please forgive me."